Wednesday, September 1st, 2010
pitching horseshoes

In another era, before we all had our noses to screens or could afford a trip to some far off land when we had a little time off, a holiday often meant a visit to the city park with your extended family and friends.  Kids being kids, they’d want to get away as soon as they could, and would make their way to the swing set or some out-of-the-way place, depending upon their age.  The old men like me, confident that others would organize the meal for later, might head off to pitch horseshoes.

/*
[1]
53
Properties=species:S:1:pos:R:3:mulliken_charge:R:1 method="wB97M-V/def2-TZVPD" charge=0 e_homo_ev=-7.9 smiles="COc1ccc(NC(=O)CCN2CCN(S(=O)(=O)c3cc(Cl)ccc3Cl)CC2)cc1" homo_lumo_gap_ev=8.4
C -3.27 -5.10 -1.00 -0.793
H -3.70 -6.09 -0.85 0.232
O -4.02 -4.24 -0.17 -0.469
C -3.71 -2.91 -0.17 0.872
C -2.69 -2.33 -0.92 -0.474
C -2.46 -0.97 -0.85 -0.502
C -3.25 -0.16 -0.04 0.104
C -4.26 -0.75 0.72 -0.437
C -4.49 -2.11 0.65 -0.734
H -5.27 -2.57 1.24 0.420
H -4.87 -0.14 1.37 0.349
N -3.05 1.22 0.08 0.098
C -2.35 2.04 -0.75 0.295
O -1.87 1.70 -1.81 -0.598
C -2.21 3.45 -0.22 -0.798
C -1.30 3.55 1.03 -1.089
N 0.00 2.94 0.96 -0.012
C 0.77 3.29 -0.22 -0.380
C 2.22 2.86 -0.01 -1.319
N 2.32 1.45 0.30 0.208
S 2.29 0.38 -0.99 1.383
O 1.07 -0.38 -1.04 -0.567
O 2.75 1.05 -2.16 -0.715
C 3.56 -0.77 -0.43 -0.249
C 3.23 -2.10 -0.24 -0.426
C 4.20 -3.00 0.17 0.154
C 5.51 -2.57 0.38 -0.484
C 5.84 -1.24 0.18 -0.585
C 4.86 -0.34 -0.22 0.214
Cl 5.25 1.30 -0.47 -0.164
H 6.85 -0.90 0.34 0.438
H 6.26 -3.28 0.70 0.422
Cl 3.79 -4.65 0.42 -0.217
H 2.21 -2.40 -0.42 0.657
C 1.47 1.06 1.41 -1.570
C 0.02 1.50 1.17 0.081
H -0.36 0.94 0.31 0.054
H -0.58 1.26 2.05 0.533
H 1.87 1.54 2.31 0.527
H 1.53 -0.02 1.51 0.448
H 2.67 3.41 0.82 0.390
H 2.80 3.03 -0.92 0.503
H 0.39 2.79 -1.12 0.284
H 0.73 4.37 -0.36 0.502
H -1.15 4.62 1.24 0.407
H -1.82 3.12 1.90 0.483
H -1.79 4.06 -1.02 0.369
H -3.19 3.85 0.04 0.454
H -3.51 1.65 0.87 0.232
H -1.66 -0.54 -1.43 0.435
H -2.06 -2.92 -1.56 0.395
H -2.21 -5.12 -0.72 0.314
H -3.36 -4.82 -2.05 0.323

[2]
51
Properties=species:S:1:pos:R:3:mulliken_spin:R:1 method="wB97M-V/def2-TZVPD" charge=+2 e_homo_ev="-14.2 / -14.6" homo_lumo_gap_ev="7.0 / 7.1" spin_multiplicity=3
W -6.43 -12.04 7.46 1.797
C -5.18 -13.91 8.12 0.006
C -6.50 -14.21 8.57 0.098
C -6.88 -13.20 9.55 -0.166
C -5.77 -12.31 9.69 0.038
C -4.74 -12.68 8.76 0.029
C -3.36 -12.11 8.64 -0.029
C -5.74 -11.18 10.66 0.011
C -8.13 -13.14 10.42 -0.001
C -7.38 -15.34 8.12 0.016
C -4.42 -14.71 7.12 -0.009
H -3.00 -12.18 7.60 0.001
H -2.71 -12.67 9.30 0.001
H -3.35 -11.04 8.94 0.001
H -6.62 -10.53 10.61 0.005
H -4.86 -10.56 10.60 -0.001
H -5.83 -11.59 11.68 0.006
H -8.33 -12.10 10.68 0.001
H -7.94 -13.73 11.29 -0.002
H -9.03 -13.54 10.00 0.001
H -8.43 -15.18 8.32 0.000
H -7.15 -16.27 8.67 0.004
H -7.29 -15.64 7.05 0.001
H -3.97 -14.06 6.35 -0.001
H -5.09 -15.39 6.64 -0.001
H -3.60 -15.24 7.64 -0.002
Cl -4.21 -9.14 1.06 -0.002
C -4.69 -10.07 2.41 -0.009
C -5.05 -11.45 2.24 0.020
C -5.35 -12.20 3.36 -0.018
Cl -5.65 -13.88 3.07 0.000
C -5.50 -11.62 4.61 0.065
O -5.91 -12.35 5.62 0.079
C -5.13 -10.26 4.78 0.009
C -5.32 -9.60 6.01 0.038
O -5.87 -10.11 7.03 -0.030
C -4.72 -9.52 3.66 0.013
H -5.01 -11.88 1.25 0.000
H -5.00 -8.57 6.10 -0.001
H -4.40 -8.51 3.74 0.001
S -8.66 -11.32 8.09 -0.022
C -9.44 -10.67 6.71 0.020
N -10.73 -10.79 6.53 0.024
C -11.27 -10.05 5.41 -0.001
C -10.16 -9.96 4.43 0.001
S -8.65 -9.82 5.43 0.007
H -11.31 -11.28 7.19 -0.001
H -11.52 -9.02 5.78 0.002
H -12.15 -10.53 4.99 0.000
*/

As with most any game, among the players of horseshoes there are various levels of interest, involvement, obsession, and expertise.  That’s true for those navigating the markets as well.

There are those who play to go along with the crowd, without a particular plan or much if any preparation.  To use the horseshoe analogy, they may laughingly throw the horseshoes around when others do, but if you are in the vicinity you’d best keep your eyes open, since a horseshoe could come flying your way at any time.  In reality, they might be better off trying to take advantage of the luck that supposedly accrues to someone who holds a horseshoe, since luck is really what they are counting upon anyway.

Then there are those amateurs who enjoy the sport of it all and have developed some skill.  Their rules of scoring may reflect the old adage that “close only counts in horseshoes and hand grenades.”  They just have to be a bit better than Uncle Joe to win, although in a bigger gathering they’ll need to step up their game even more to generate a victory against those who have been at it for awhile.  They typically can’t take the time to get as good as they’d like, but they are good enough to beat anyone in the park on a given day.

But there are those who operate by another standard altogether:  What’s their percentage of ringers?  Toss after toss, how consistently good are they?  If you get over seventy percent ringers, you’re world class.  How much practice and what kind of skills does it take to get there?

And what is required to be the very best?  The New York Times did a profile of Alan Francis,The New York Times | Francis is a purchasing manager when he’s not pitching horseshoes. not only the best horseshoe pitcher around (ever), but “perhaps the most dominant athlete in any sport in the country.”  His ringer percentage often hits ninety percent.  Certainly he must have the innate skills it takes to be successful, but I was struck by the fact that he also approaches the game differently than almost anyone else.  He figures that less than one percent of top competitors use his particular way of tossing, the “three-quarter reverse.”  Had he started out trying to be like everyone else, Francis might be just that today.

In attempting to navigate the markets, which kind of player are you?  Which kind do you aspire to be?  What are you willing to do to get there?